Hypocrisy runs deep in Washington's budget debates

As budget debate brings out the hypocrisy in Washington, it's 'Do as I say, not as I do'

WASHINGTON (AP) -- Hypocrisy is nothing new in Washington. The long-running debate over taxes and spending, however, is producing especially blatant examples of politicians contradicting themselves or attacking opponents for taking the very stances they've taken themselves.

Lawmakers, for instance, denounce the deficit but refuse to let the Postal Service close money-losing offices or end Saturday delivery. They force the Defense Department to maintain weapons systems and military bases — located in their home districts, of course — that the Pentagon wants to end.

Cries of hypocrisy grew so loud Thursday that House Speaker John Boehner got into a public spat with his party's chief campaign overseer.

Rep. Greg Walden, R-Ore., had accused President Barack Obama of "trying to balance this budget on the backs of seniors" by proposing a slower growth in Social Security benefits in exchange for new revenue hikes. Obama's new budget plan "really lays out kind of a shocking attack on seniors," Walden said.

Political heads turned. Walden chairs the committee responsible for next year's GOP House campaigns. And Republicans have portrayed themselves as courageous-but-responsible advocates of slowing the growth of Social Security, Medicare and Medicaid.

White House spokesman Jay Carney called Walden's remarks a "flagrantly ridiculous and cynical attempt to disown a proposal that emanated from Republican leaders."

By midday, Boehner had seen enough. "I've made it clear that I disagree with what Chairman Walden said," the speaker told reporters. In fact, he said, Obama's "modest reforms" are "the least we must do to begin to solve the problems of Social Security.

The conservative Club for Growth said it will back a Republican challenger to Walden in the next primary because of Walden's "opposition to even modest entitlement reform."

The issue infuriates Democrats, whom some Republicans accused of "gutting Medicare" during the 2010 congressional elections. Republicans based their claims on scheduled reductions in Medicare payments included in the 2010 "Obamacare" law. Democrats called it an outrageous tactic by a party that repeatedly says Medicare is too expensive.

Some Democrats fear similar attacks next year. Despite Boehner's reprimand of Walden, those fears might be justified.

_Here the piece breaks off for materials data_
'''
Diffraction record for LaAlIn. The XRD peak list is theoretical, not measured: it uses a crystal structure in Alexandria, relaxed with PBE and Cu Kα (λ = 1.5418 Å).
Lines closer than 0.1° are merged.

Top 10 peaks for 2θ from 10° to 90°, by angle:
index  Position (°2θ)  intensity
1 0 0  21.28  27
1 0 1  31.35  100
1 1 0  37.31  50
0 0 2  46.46  9
0 2 1  49.50  27
1 1 2  61.04  23
2 1 1  63.59  26
3 0 0  67.28  9
3 0 2  85.70  9
1 3 1  87.96  11

Crystal structure
Cell lengths 4.8207, 4.8207, 3.9088 Å; angles 90.00, 90.00, 120.00 degrees
Atoms (fractional coordinates):
1 La 0.0000 0.0000 0.0000
2 Al 0.6667 0.3333 0.4985
'''
_Here the piece continues_

In an Associated Press interview in Los Angeles on Thursday, national Republican Party Chairman Reince Priebus restated the essence of the 2010 campaign. He said Obama is "the only one in this conversation that's actually raided Medicare by $800 billion to pay for universal European health care."

Democrats indulge in hypocrisy, too. In his 2008 and 2012 campaigns, Obama said he would not raise taxes on the middle class or burden the poor. But his proposal for slower growth in federal cost-of-living calculations would not only trim Social Security benefits. It also would slow the growth of tax breaks that mainly help lower-income people.

The president's proposed cigarette tax increase also would disproportionately hit low-income people. And both parties agreed this year to return the payroll tax, which funds Social Security, to its earlier 6.2 percent rate after a two-year level of 4.2 percent. That took a bite out of every wage earner's paycheck starting in January.

Many Democratic lawmakers call for more revenue to fight the deficit, and they support higher taxes on couples' incomes above $250,000. They denounced a Republican budget plan that they said would "clobber the middle class."

Their criticisms included a possible tax increase of $1,358 on households earning $100,000. That's nearly double the nation's median income, giving a generous meaning to "middle class."

Military budgets often prompt lawmakers to talk of budget cuts in the abstract while defending specific, disputed programs.

Last July the Republican-controlled House added billions of dollars to the Pentagon budget that Obama proposed.

A pair of lawmakers, one from each party, implored colleagues to trim $72.3 million from the $608 billion military spending bill. They targeted money the National Guard spends to sponsor a NASCAR driver, the Marine Corps spends on Ultimate Fighting Championship, and other military sponsorships from fishing to hot rod racing.

The reception was frosty. Rep. Steven Palazzo, R-Miss., who supports a balanced budget amendment to the Constitution, said there was "no reason Congress should be telling the Department of Defense where and how to spend money."

Yet Congress often does just that. On Thursday, Defense Secretary Chuck Hagel defended Obama's proposed cuts to the military. He called them the best approach as the Pentagon grapples with smaller, deficit-driven budgets.

Even with the proposed cuts, the United States will spend more on defense than the next 16 largest militaries in the world combined.


Associated Press writers Donna Cassata and Jim Kuhnhenn in Washington, and Thomas Beaumont in Los Angeles, contributed to this report.